(Material)
____________
TbPm5Sn4: calculated powder diffraction line list (Cu Kα (weighted mean of Kα1 and Kα2)), based on a crystal structure in Alexandria, relaxed with GGA-PBE.

Main lines, in order of rising 2θ (2θ from 15° to 90°):
- 2θ 23.11, I = 24, hkl 3 1 0
- 2θ 32.66, I = 54, hkl 6 0 0
- 2θ 33.18, I = 53, hkl 0 2 0
- 2θ 33.87, I = 100, hkl 3 1 -2
- 2θ 34.05, I = 98, hkl 3 1 2
- 2θ 47.24, I = 39, hkl 6 2 0
- 2θ 58.95, I = 19, hkl 9 1 -2
- 2θ 59.30, I = 19, hkl 9 1 2
- 2θ 59.72, I = 20, hkl 3 3 -2
- 2θ 59.83, I = 20, hkl 3 3 2

```
data_TbPm5Sn4
_chemical_formula_sum 'Tb2 Pm10 Sn8'
_space_group_name_H-M_alt 'C 1 2/m 1'
_space_group_IT_number 12
_space_group_name_Hall '-C 2y'
_cell_length_a 16.452
_cell_length_b 5.401
_cell_length_c 7.256
_cell_angle_alpha 90.00
_cell_angle_beta 90.42
_cell_angle_gamma 90.00
loop_
_atom_site_label
_atom_site_type_symbol
_atom_site_fract_x
_atom_site_fract_y
_atom_site_fract_z
Tb1 Tb 0.000 0.000 0.000
Pm1 Pm 0.000 0.000 0.500
Pm2 Pm 0.166 0.500 0.496
Pm3 Pm 0.167 0.500 0.007
Sn1 Sn 0.008 0.500 0.755
Sn2 Sn 0.174 0.000 0.249
```

----------

Structure and computed PXRD pattern of Ce7Sn3Pb (a DFT-relaxed cell (PBE, Alexandria); Cu Kα (λ = 1.5418 Å)).
Peak positions follow from Bragg's law for the DFT cell and can differ from measured ones.

Structure:
```
Ce7Sn3Pb
1.0
-3.047 4.612 6.065
3.047 -4.612 6.065
3.047 4.612 -6.065
Ce Sn Pb
7 3 1
Direct
0.000 0.000 0.000
0.113 0.758 0.355
0.351 0.500 0.851
0.403 0.758 0.645
0.597 0.242 0.355
0.649 0.500 0.149
0.887 0.242 0.645
0.261 0.261 0.000
0.500 0.000 0.500
0.739 0.739 0.000
0.000 0.500 0.500
```

Principal peaks in the range 10 to 80 degrees two-theta, low angle first:
d/Å, I (rel.)
4.612, 19
3.047, 71
3.033, 68
2.980, 14
2.501, 100
2.149, 52
1.632, 28
1.628, 26
1.372, 18
1.361, 14

----------

The following is a simulated powder X-ray diffraction pattern of Mn3Fe3Si2. It was derived from a crystal structure in Alexandria, relaxed with PBE, using Cu Ka.
Kinematic intensities with the Lorentz-polarization factor, no thermal factor.

Atomic structure:
Unit cell a=6.8560 b=6.8560 c=6.8560 alpha=33.55 beta=33.55 gamma=33.55
Atoms (fractional coordinates):
Mn: 0.0000 0.0000 0.0000
Mn: 0.2503 0.2503 0.2503
Mn: 0.7493 0.7493 0.7493
Fe: 0.3748 0.3748 0.3748
Fe: 0.4993 0.4993 0.4993
Fe: 0.8739 0.8739 0.8739
Si: 0.1253 0.1253 0.1253
Si: 0.6241 0.6241 0.6241

Top 6 peaks for 2θ from 5° to 70°, sorted by position:
2θ/deg  Rel. int.
27.60  6
31.98  2
45.86  100
54.36  3
57.00  1
66.86  15

The following is a simulated powder X-ray diffraction pattern of Mn2FeSi4. It was derived from a crystal structure in Alexandria, relaxed with PBE, using Cu Ka.
Kinematic intensities with the Lorentz-polarization factor, no thermal factor.

Atomic structure:
Unit cell a=6.5494 b=6.5494 c=6.5494 alpha=141.56 beta=141.56 gamma=55.49
Atoms (fractional coordinates):
Mn: 0.1066 0.1066 0.0000
Mn: 0.8934 0.8934 0.0000
Fe: 0.5000 0.5000 0.0000
Si: 0.0000 0.5000 0.5000
Si: 0.3071 0.3071 0.0000
Si: 0.5000 0.0000 0.5000
Si: 0.6929 0.6929 0.0000

Top 10 peaks for 2θ from 5° to 70°, sorted by position:
2θ/deg  Rel. int.
15.29  82
29.29  97
31.08  18
41.90  96
43.06  18
44.36  100
44.86  19
60.76  30
62.66  66
68.86  14

The following is a simulated powder X-ray diffraction pattern of Ta6MnFe. It was derived from a crystal structure in Alexandria, relaxed with PBE, using Cu Ka.
Kinematic intensities with the Lorentz-polarization factor, no thermal factor.

Atomic structure:
Unit cell a=7.2558 b=7.2558 c=7.2558 alpha=144.08 beta=144.08 gamma=51.71
Atoms (fractional coordinates):
Ta: 0.1157 0.6157 0.5000
Ta: 0.2495 0.2495 0.0000
Ta: 0.3843 0.8843 0.5000
Ta: 0.6157 0.1157 0.5000
Ta: 0.7505 0.7505 0.0000
Ta: 0.8843 0.3843 0.5000
Mn: 0.0000 0.0000 0.0000
Fe: 0.5000 0.5000 0.0000

Top 10 peaks for 2θ from 5° to 70°, sorted by position:
2θ/deg  Rel. int.
13.56  6
28.20  5
31.42  14
39.67  100
40.31  49
41.49  4
56.36  8
58.32  17
59.23  6
67.75  3
____________

(Job)
Your job: echo the contents above verbatim.

(Written answer)
TbPm5Sn4: calculated powder diffraction line list (Cu Kα (weighted mean of Kα1 and Kα2)), based on a crystal structure in Alexandria, relaxed with GGA-PBE.

Main lines, in order of rising 2θ (2θ from 15° to 90°):
- 2θ 23.11, I = 24, hkl 3 1 0
- 2θ 32.66, I = 54, hkl 6 0 0
- 2θ 33.18, I = 53, hkl 0 2 0
- 2θ 33.87, I = 100, hkl 3 1 -2
- 2θ 34.05, I = 98, hkl 3 1 2
- 2θ 47.24, I = 39, hkl 6 2 0
- 2θ 58.95, I = 19, hkl 9 1 -2
- 2θ 59.30, I = 19, hkl 9 1 2
- 2θ 59.72, I = 20, hkl 3 3 -2
- 2θ 59.83, I = 20, hkl 3 3 2

```
data_TbPm5Sn4
_chemical_formula_sum 'Tb2 Pm10 Sn8'
_space_group_name_H-M_alt 'C 1 2/m 1'
_space_group_IT_number 12
_space_group_name_Hall '-C 2y'
_cell_length_a 16.452
_cell_length_b 5.401
_cell_length_c 7.256
_cell_angle_alpha 90.00
_cell_angle_beta 90.42
_cell_angle_gamma 90.00
loop_
_atom_site_label
_atom_site_type_symbol
_atom_site_fract_x
_atom_site_fract_y
_atom_site_fract_z
Tb1 Tb 0.000 0.000 0.000
Pm1 Pm 0.000 0.000 0.500
Pm2 Pm 0.166 0.500 0.496
Pm3 Pm 0.167 0.500 0.007
Sn1 Sn 0.008 0.500 0.755
Sn2 Sn 0.174 0.000 0.249
```

----------

Structure and computed PXRD pattern of Ce7Sn3Pb (a DFT-relaxed cell (PBE, Alexandria); Cu Kα (λ = 1.5418 Å)).
Peak positions follow from Bragg's law for the DFT cell and can differ from measured ones.

Structure:
```
Ce7Sn3Pb
1.0
-3.047 4.612 6.065
3.047 -4.612 6.065
3.047 4.612 -6.065
Ce Sn Pb
7 3 1
Direct
0.000 0.000 0.000
0.113 0.758 0.355
0.351 0.500 0.851
0.403 0.758 0.645
0.597 0.242 0.355
0.649 0.500 0.149
0.887 0.242 0.645
0.261 0.261 0.000
0.500 0.000 0.500
0.739 0.739 0.000
0.000 0.500 0.500
```

Principal peaks in the range 10 to 80 degrees two-theta, low angle first:
d/Å, I (rel.)
4.612, 19
3.047, 71
3.033, 68
2.980, 14
2.501, 100
2.149, 52
1.632, 28
1.628, 26
1.372, 18
1.361, 14

----------

The following is a simulated powder X-ray diffraction pattern of Mn3Fe3Si2. It was derived from a crystal structure in Alexandria, relaxed with PBE, using Cu Ka.
Kinematic intensities with the Lorentz-polarization factor, no thermal factor.

Atomic structure:
Unit cell a=6.8560 b=6.8560 c=6.8560 alpha=33.55 beta=33.55 gamma=33.55
Atoms (fractional coordinates):
Mn: 0.0000 0.0000 0.0000
Mn: 0.2503 0.2503 0.2503
Mn: 0.7493 0.7493 0.7493
Fe: 0.3748 0.3748 0.3748
Fe: 0.4993 0.4993 0.4993
Fe: 0.8739 0.8739 0.8739
Si: 0.1253 0.1253 0.1253
Si: 0.6241 0.6241 0.6241

Top 6 peaks for 2θ from 5° to 70°, sorted by position:
2θ/deg  Rel. int.
27.60  6
31.98  2
45.86  100
54.36  3
57.00  1
66.86  15

The following is a simulated powder X-ray diffraction pattern of Mn2FeSi4. It was derived from a crystal structure in Alexandria, relaxed with PBE, using Cu Ka.
Kinematic intensities with the Lorentz-polarization factor, no thermal factor.

Atomic structure:
Unit cell a=6.5494 b=6.5494 c=6.5494 alpha=141.56 beta=141.56 gamma=55.49
Atoms (fractional coordinates):
Mn: 0.1066 0.1066 0.0000
Mn: 0.8934 0.8934 0.0000
Fe: 0.5000 0.5000 0.0000
Si: 0.0000 0.5000 0.5000
Si: 0.3071 0.3071 0.0000
Si: 0.5000 0.0000 0.5000
Si: 0.6929 0.6929 0.0000

Top 10 peaks for 2θ from 5° to 70°, sorted by position:
2θ/deg  Rel. int.
15.29  82
29.29  97
31.08  18
41.90  96
43.06  18
44.36  100
44.86  19
60.76  30
62.66  66
68.86  14

The following is a simulated powder X-ray diffraction pattern of Ta6MnFe. It was derived from a crystal structure in Alexandria, relaxed with PBE, using Cu Ka.
Kinematic intensities with the Lorentz-polarization factor, no thermal factor.

Atomic structure:
Unit cell a=7.2558 b=7.2558 c=7.2558 alpha=144.08 beta=144.08 gamma=51.71
Atoms (fractional coordinates):
Ta: 0.1157 0.6157 0.5000
Ta: 0.2495 0.2495 0.0000
Ta: 0.3843 0.8843 0.5000
Ta: 0.6157 0.1157 0.5000
Ta: 0.7505 0.7505 0.0000
Ta: 0.8843 0.3843 0.5000
Mn: 0.0000 0.0000 0.0000
Fe: 0.5000 0.5000 0.0000

Top 10 peaks for 2θ from 5° to 70°, sorted by position:
2θ/deg  Rel. int.
13.56  6
28.20  5
31.42  14
39.67  100
40.31  49
41.49  4
56.36  8
58.32  17
59.23  6
67.75  3